**Excerpt**
+++
Entry 1:
The following is a quantum chemistry calculation of a structure of composition C26H44Cl2F4N2O29PdS4, from the Open Molecules 2025 dataset.

Computed properties:
* Kohn-Sham gap (spin up / spin down): 6.05 / 7.03 eV
* <S²>: 3.7552
* lowest unoccupied orbital energy (spin up / spin down): 1.7 / -0.9 eV
* spin multiplicity: 4
* total charge: -1

CARTESIAN COORDINATES (ANGSTROEM)
Pd1 1.298 2.765 2.703
N1 0.480 1.197 1.550
S1 -0.269 -0.083 1.876
O1 0.453 -1.340 1.716
O2 -1.705 -0.077 1.706
F1 -0.130 0.148 3.470
S2 0.478 0.779 -0.129
O3 -0.835 0.687 -0.731
O4 1.523 -0.180 -0.559
F2 0.999 2.183 -0.649
N2 -0.309 3.059 4.057
S3 -1.671 3.798 4.077
O5 -1.638 5.197 4.448
O6 -2.893 3.071 4.494
F3 -1.880 3.932 2.551
S4 -0.449 2.704 5.737
O7 -0.979 1.353 5.999
O8 -0.633 3.773 6.738
F4 1.123 2.446 5.999
Cl1 3.686 2.392 -2.648
C1 2.666 3.631 -3.442
C2 3.570 4.716 -3.956
Cl2 4.225 5.790 -2.777
H1 1.944 3.982 -2.705
H2 2.083 3.079 -4.179
H3 3.010 5.340 -4.652
H4 4.401 4.455 -4.611
C3 -0.172 -4.834 3.014
C4 0.329 -4.147 4.269
O9 1.430 -4.942 4.597
C5 1.413 -6.015 3.855
O10 2.229 -6.897 4.009
O11 0.346 -6.065 3.068
H5 0.145 -4.246 2.152
H6 -1.261 -4.876 2.976
H7 -0.445 -4.136 5.037
H8 0.530 -3.156 3.863
C6 -2.620 1.561 -3.249
C7 -1.717 2.757 -3.099
O12 -0.588 2.508 -3.891
C8 -0.546 1.189 -4.149
O13 0.475 0.604 -4.500
O14 -1.644 0.623 -3.753
H9 -3.496 1.734 -3.874
H10 -2.974 1.236 -2.271
H11 -1.308 2.946 -2.107
H12 -2.219 3.649 -3.474
C9 0.521 -3.098 -1.757
C10 0.375 -4.533 -2.300
O15 -0.615 -5.118 -1.404
C11 -1.272 -4.176 -0.836
O16 -2.323 -4.357 -0.235
O17 -0.738 -2.909 -1.134
H13 0.772 -2.437 -2.587
H14 1.340 -2.994 -1.045
H15 1.316 -5.082 -2.283
H16 -0.069 -4.519 -3.295
C12 -3.750 -1.208 -1.590
C13 -3.904 -1.840 -3.009
O18 -4.722 -0.927 -3.752
C14 -5.237 -0.060 -2.941
O19 -6.046 0.802 -3.353
O20 -4.810 -0.277 -1.663
H17 -2.768 -0.739 -1.532
H18 -3.793 -1.909 -0.756
H19 -4.504 -2.748 -2.947
H20 -2.937 -2.070 -3.455
C15 3.768 -1.171 -3.516
C16 2.783 -1.851 -4.534
O21 2.746 -3.233 -4.262
C17 3.398 -4.153 -5.050
O22 4.135 -3.936 -6.043
O23 3.084 -5.392 -4.536
C18 3.556 -6.530 -5.239
H21 4.203 -0.208 -3.780
H22 4.568 -1.867 -3.260
H23 3.138 -0.921 -2.662
H24 3.211 -1.651 -5.516
H25 1.759 -1.478 -4.565
H26 2.943 -6.593 -6.139
H27 3.499 -7.448 -4.654
H28 4.540 -6.362 -5.678
C19 3.941 -2.554 3.132
C20 3.302 -1.205 3.122
O24 3.937 -0.435 4.077
C21 3.476 0.762 4.506
O25 2.506 1.417 4.037
O26 4.319 1.035 5.474
C22 4.185 2.245 6.185
H29 4.091 -2.931 4.144
H30 4.944 -2.523 2.706
H31 3.347 -3.276 2.571
H32 2.303 -1.336 3.538
H33 3.203 -0.700 2.161
H34 3.719 2.082 7.157
H35 3.685 3.025 5.610
H36 5.187 2.588 6.440
C23 -4.055 2.181 0.378
C24 -5.134 2.704 1.268
O27 -5.490 4.032 0.919
C25 -5.050 4.992 1.660
O28 -4.332 4.973 2.620
O29 -5.474 6.145 1.030
C26 -4.917 7.393 1.370
H37 -3.652 1.249 0.775
H38 -3.200 2.836 0.549
H39 -4.272 2.079 -0.685
H40 -4.733 2.560 2.271
H41 -6.063 2.134 1.240
H42 -5.200 8.252 0.761
H43 -3.829 7.350 1.401
H44 -5.366 7.627 2.335

---

Entry 2:
The following is a quantum chemistry calculation of a cluster of 3 separate species, C26H44F3IO10S in total, from the Open Molecules 2025 dataset.

Computed properties:
* Kohn-Sham gap: 8.19 eV
* lowest unoccupied orbital energy: -0.1 eV
* SMILES: CCSC[C@@]1(CCCCCCCCCOC)OC(=O)O[C@]1(I)CCC(F)=C(F)F.COC(=O)OC.COC(=O)OC

CARTESIAN COORDINATES (ANGSTROEM)
C1 6.357 -1.782 2.701
C2 5.528 -2.614 1.700
S1 4.071 -1.764 1.014
C3 4.669 -0.599 -0.263
C4 4.123 0.844 -0.213
C5 4.679 1.832 0.847
C6 4.557 1.479 2.357
C7 3.200 1.877 3.052
C8 2.313 0.673 3.457
C9 0.821 1.055 3.645
C10 0.042 -0.238 4.094
C11 -1.340 -0.401 3.369
C12 -1.468 -1.767 2.623
C13 -2.124 -1.604 1.232
O1 -3.549 -1.723 1.303
C14 -4.085 -0.938 0.228
O2 4.755 1.397 -1.430
C15 4.004 1.151 -2.544
O3 4.307 1.338 -3.631
O4 2.837 0.594 -2.073
C16 2.647 1.099 -0.712
I1 1.051 -0.152 -0.013
C17 2.280 2.588 -0.973
C18 1.286 3.249 0.043
C19 -0.027 3.713 -0.529
F1 -0.102 4.509 -1.619
C20 -1.189 3.379 0.101
F2 -1.604 2.135 0.081
+++
**Wanted**
Please restate every line further above that contains the word "CCC".
**Worked solution**
* SMILES: CCSC[C@@]1(CCCCCCCCCOC)OC(=O)O[C@]1(I)CCC(F)=C(F)F.COC(=O)OC.COC(=O)OC